Nature Conservation – Independent Indian Publishing House

Nature Conservation

/Nature Conservation
  • It's a deft Hindi translation of Jim Corbett's most adventurous tale of his encounter with a very notorious leopard in Rudraprayag.
  • An excellent translation of the evergreen "MY INDIA" by conservationist and naturalist, Jim Corbett.
  • Jim Corbett's books on man-eating tigers are not only established classics, but also almost in a separate literary category by themselves. "Man-Eaters of Kumaon" is the best known of his books.This is the hindi edition of the same.
-- begin --
#P
TbTmGaAu, relaxed, DFT GGA-PBE; DOS(E_F) = 0.79 states/eV/atom; symmetry = Amm2, No. 38
1.0
4.530 0.000 0.000
0.000 1.879 5.555
0.000 -1.879 5.555
Tb Tm Ga Au
1 1 1 1
Direct
0.000 0.000 0.000
0.500 0.289 0.289
0.000 0.729 0.729
0.500 0.567 0.567

#Q
TbTmGaAu, relaxed, DFT GGA-PBE; DOS(E_F) = 0.64 states/eV/atom; symmetry = F-43m, No. 216
1.0
0.000 3.590 3.590
3.590 0.000 3.590
3.590 3.590 0.000
Tb Tm Ga Au
1 1 1 1
Direct
0.000 0.000 0.000
0.500 0.500 0.500
0.750 0.750 0.750
0.250 0.250 0.250

Question: of the structures shown, which is the most stable? Reply: #P.

* * * * *

# YEr2Au | Alexandria | PBE-GGA | relaxed
# **Uncorrected energy**: -5.1787 eV per atom
# **N(E_F)**: 0.995 states/eV per atom
# **Calculated density**: 9.24 Mg/m³
data_YEr2Au
_symmetry_space_group_name_H-M 'P 1'
_symmetry_Int_Tables_number 1
_cell_length_a 6.630
_cell_length_b 6.946
_cell_length_c 9.684
_cell_angle_alpha 90.00
_cell_angle_beta 90.00
_cell_angle_gamma 90.00
loop_
_symmetry_equiv_pos_as_xyz
'x,y,z'
loop_
_atom_site_label
_atom_site_type_symbol
_atom_site_fract_x
_atom_site_fract_y
_atom_site_fract_z
Y1 Y 0.884 0.011 0.250
Y2 Y 0.384 0.489 0.750
Y3 Y 0.116 0.989 0.750
Er1 Er 0.694 0.804 0.945
Y4 Y 0.616 0.511 0.250
Er2 Er 0.194 0.696 0.055
Au1 Au 0.956 0.587 0.750
Er3 Er 0.806 0.304 0.555
Er4 Er 0.306 0.196 0.055
Er5 Er 0.694 0.804 0.555
Au2 Au 0.456 0.913 0.250
Er6 Er 0.806 0.304 0.945
Au3 Au 0.044 0.413 0.250
Er7 Er 0.194 0.696 0.445
Au4 Au 0.544 0.087 0.750
Er8 Er 0.306 0.196 0.445

# YEr3Au2 | Alexandria | PBE-GGA | relaxed
# **Uncorrected energy**: -4.9214 eV per atom
# **N(E_F)**: 1.322 states/eV per atom
# **Calculated density**: 9.35 Mg/m³
data_YEr3Au2
_symmetry_space_group_name_H-M 'P 1'
_symmetry_Int_Tables_number 1
_cell_length_a 7.005
_cell_length_b 7.235
_cell_length_c 8.542
_cell_angle_alpha 115.05
_cell_angle_beta 114.21
_cell_angle_gamma 90.00
loop_
_symmetry_equiv_pos_as_xyz
'x,y,z'
loop_
_atom_site_label
_atom_site_type_symbol
_atom_site_fract_x
_atom_site_fract_y
_atom_site_fract_z
Au1 Au 0.562 0.358 0.716
Au2 Au 0.438 0.642 0.284
Au3 Au 0.847 0.142 0.284
Y1 Y 0.000 0.500 0.000
Er1 Er 0.766 0.516 0.533
Er2 Er 0.234 0.984 0.467
Er3 Er 0.500 0.250 0.000
Er4 Er 0.234 0.484 0.467
Au4 Au 0.153 0.858 0.716
Er5 Er 0.500 0.750 0.000
Y2 Y 0.000 0.000 0.000
Er6 Er 0.766 0.016 0.533

# YErAu2 | Alexandria | PBE-GGA | relaxed
# **Uncorrected energy**: -5.2656 eV per atom
# **N(E_F)**: 0.599 states/eV per atom
# **Calculated density**: 11.69 Mg/m³
data_YErAu2
_symmetry_space_group_name_H-M 'P 1'
_symmetry_Int_Tables_number 1
_cell_length_a 3.572
_cell_length_b 3.572
_cell_length_c 7.238
_cell_angle_alpha 90.00
_cell_angle_beta 90.00
_cell_angle_gamma 90.00
loop_
_symmetry_equiv_pos_as_xyz
'x,y,z'
loop_
_atom_site_label
_atom_site_type_symbol
_atom_site_fract_x
_atom_site_fract_y
_atom_site_fract_z
Au1 Au 0.000 0.000 0.759
Er1 Er 0.500 0.500 0.000
Au2 Au 0.000 0.000 0.241
Y1 Y 0.500 0.500 0.500

# Y3Er3Au4 | Alexandria | PBE-GGA | relaxed
-- stop --
  • ‘Roars and Trumpets’ is the story of a man’s life-long and obsessive passion for the jungles and his helpless surrender to the compelling call of the wild. Spanning a period of half a century, Gurpreet Singh’s love affair with the jungles of India begins in the North West Frontier Province in the pre-Partition days of the British Raj and ends in the forests of Assam, where he spent his entire working life as a tea-planter. The book conjures up a by-gone era, taking us back to the days of plenty, the never-ending stretches of wilderness, the vast jungles and the compulsive lure of the hunt where man and animal engage in a deathly game of survival and try to outwit each other. It is compulsory reading for all jungle lovers who have been hankering for hunting tales and jungle lore in the tradition of Jim Corbett and Kenneth Anderson.
  • This book is the first independent assessment of the Sardar Sarovar Project. Its findings and conclusions are of significant importance to environment policies of the future.
  • This book lays out the scientific , legal, political and cultural struggle to defend the sovereignty of biodiversity and indigenous knowledge. Corporate war on nature and people through patents and corporate Intellectual Property Rights (IPR) has unleashed an epidemic of biopiracy, including important legal battles of fighting biopiracy including neem, wheat and basmati which are synthesised in this book. It is the first detailed legal history of the international and national laws related to biodiverity and IPR. The attempt to 'enclose the commons of biodiversity and biodiversity related knowledge through patents and intellectual property rights ( IPRs) is the final step in the series of enclosures that began with the rise of colonialism. The recovery of the commons through the reocgnition of common creativity of nature and people, paves the way for a future beyond piracy and monopoly, it wakes us to the origins of life in nature and knowledge in culture. It sows the seeds of shared abundance.